Mikel Laney McIntyre
Mikel Laney McIntyre, a 32-year-old black man armed with a rock, was shot on May 8, 2017, in Rancho Cordova, California. McIntyre, an Uber driver and former Major League Baseball prospect originally from Antioch, had been acting strangely at a relative’s Rosemont home Monday afternoon and his family called authorities for help.
Excert from Sacramento Bee report by Marcos Breton and Anita Chabria
Brigett McIntrye, mother of Mikel McIntrye, and Sacramento Sheriff spokesman Tony Turnbull describe the incident that led to Mikel's fatal shooting by sheriff's deputies in Rancho Cordova in 2017. A Sacramento County Sheriff’s deputy fired his weapon 19 times while walking across six lanes of Highway 50 in a fatal officer-involved shooting that is still under investigation more than a year after it occurred. The new information about the death of Mikel Laney McIntyre, 32, released last week in an annual report from Sacramento County Inspector General Rick Braziel, is raising questions on whether the use of force was justified and why the District Attorney’s review is taking so long. As inspector general, Braziel is responsible for monitoring the Sacramento County Sheriff’s Department. His report said three deputies — Gabriel Rodriguez, Ken Becker and Jeffrey Wright — fired 29 shots during an incident with McIntyre on May 8, 2017 that began in a shopping center parking lot off Zinfandel Drive in Rancho Cordova at 6:48 p.m. McIntyre hit deputies and a police dog with rocks during the incident, but was unarmed when the fatal shots were fired.
“It’s not right,” said his mother, Brigett McIntyre. “It’s over excessive.” Sacramento County Sheriff’s Department spokesman Shaun Hampton said he couldn’t discuss details of the case because of pending litigation. Last month, Brigett McIntyre filed a federal civil rights lawsuit in the case. Deputies first encountered Mikel McIntyre when responding to a call about an assault in progress outside a Ross Dress for Less store, the report said. According to Brigett McIntyre, her son was experiencing a mental health crisis and she was the woman the caller had said McIntyre was assaulting. Twice that day, she said, her family had called 911 because McIntyre appeared to be experiencing a mental health crisis. Both times, Brigett McIntyre said, deputies and medical personnel assessed her son and found he did not qualify for an involuntary psychiatric hold, despite the family’s concerns. But after the second call, deputies told McIntyre to leave his aunt’s house, where he and his mother were visiting, she said. McIntyre later asked his mother to pick him up in the parking lot where the incident began. She said she and McIntyre were arguing over the car keys, which she did not want to give him. She said her son was not attacking her, but she did call for help from passersby. When Wright arrived, McIntyre ignored verbal commands from the deputy and left the parking lot, according to reports at the time. He crossed the street to a nearby Red Roof Inn. Wright, a Sheriff’s deputy on contract with Rancho Cordova, followed and attempted to restrain him.
A “brief struggle started, and McIntyre used a football size rock to strike” Wright in the head, according to the inspector general’s report. Wright was “dazed” and fearful of further assault, and fired two rounds at McIntyre as McIntyre fled toward Highway 50, the report said. It is unclear if McIntyre was hit. McIntyre ran a few hundred yards, underneath the Zinfandel overpass. He went onto a walkway near the top of the structure, pursued by an unidentified deputy. Below him along the shoulder of the freeway, Becker and his canine also were in pursuit, as were other deputies and California Highway Patrol officers. At the end of the elevated walkway, McIntyre threw a softball sized rock at Becker as he ran down the embankment and past the deputy, the report said. The rock hit the dog in the muzzle and Becker in the leg. Becker fired eight shots at McIntyre, who continued to run westbound along the unpaved part of the freeway shoulder. It is unclear if Becker hit McIntyre.
(Data records, as found in the file)
--- one ---
The following is a DFT calculation (wB97M-V/def2-TZVPD) of 3 unconnected molecules or ions with the total composition C2H6N4O2.

Output
HOMO   -0.3714 Eh
SMILES   [H]/N=N/C=O.N=C=O.N
Kohn-Sham gap   9.1978 eV

Positions of all 14 atoms, in Å:
H  -2.962  1.807  3.250
N  -2.500  0.910  3.495
N  -1.475  0.864  2.843
C  -0.406  0.303  2.421
O  -0.236  -0.243  1.328
H  0.570  0.634  3.012
N  -2.012  1.024  -0.455
C  -2.680  1.762  0.224
O  -3.155  2.511  0.950
H  -1.160  0.428  -0.195
N  3.859  -2.491  -4.544
H  4.518  -3.271  -4.470
H  3.328  -2.560  -3.674
H  4.312  -1.677  -4.185

These are the natural (NBO) partial charges, in e, on atoms 1 to 2:
1. H 0.348
2. N -0.179

--- two ---
The following is a DFT calculation (wB97M-V/def2-TZVPD) of C2H6N4O2 in the gas phase.

Output
HOMO   -0.3407 Eh
SMILES   [H]/N=C/N(O)C(=O)NN
Kohn-Sham gap   9.7723 eV

Positions of all 14 atoms, in Å:
H  2.449  -1.890  -1.154
N  2.142  -1.091  -0.451
C  0.870  -0.945  -0.293
N  0.463  0.195  0.491
O  1.389  1.147  0.830
C  -0.649  0.750  -0.201
O  -0.677  1.837  -0.675
N  -1.594  -0.213  -0.255
N  -1.933  -1.288  0.572
H  0.114  -1.515  -0.990
H  2.282  0.550  0.627
H  -2.364  0.051  -0.819
H  -1.425  -1.996  0.051
H  -1.617  -1.119  1.497

These are the natural (NBO) partial charges, in e, on atoms 1 to 2:
1. H 0.381
2. N -0.730

Among the structures above, stability is smallest for two.


The following is a DFT calculation (ωB97M-V with the def2-TZVPD basis set) of a cluster of 6 separate species, C6H24O6 in total at a distorted geometry.

Calculated values
**Charge**: 0
**E_LUMO**: 0.2706 eV
**Energy relative to the best compared isomer or geometry (same formula, charge and spin)**: 502.5 kJ/mol
**M**: 192.3 g mol⁻¹
**Highest occupied orbital energy**: -10.2 eV
**Strongest force on any atom**: 0.049 Eh/bohr
**SMILES string**: CO.CO.CO.CO.CO.CO
**Kohn-Sham gap**: 10.5136 eV

Last column: Löwdin charge in e.
Element x y z (Å)
H  -5.123471  5.395852  -1.541290  0.0716
H  -1.939512  -0.790505  1.045940  0.0791
C  0.816090  3.768438  3.837007  -0.1809
O  -0.924286  -3.872014  -4.631379  -0.1221
H  -1.705604  0.163683  -0.497837  0.0758
H  -2.582843  -1.362898  -0.469684  0.0787
H  1.042565  4.472147  4.638000  0.0746
H  2.639610  -6.386721  3.732521  0.0793
C  -6.087080  4.974017  -1.826952  -0.1715
H  1.382688  -5.291182  3.350610  0.0795
O  -0.522393  -1.480136  -0.022454  -0.1273
O  5.609436  1.629141  1.414739  -0.1395
H  3.095888  -4.640347  3.585838  0.0784
H  6.232820  2.346431  1.550702  0.0648
O  1.338435  2.502543  4.102831  -0.1233
H  -6.391416  5.556139  -2.696790  0.0668
H  0.108576  -0.952295  0.472382  0.0767
C  2.454317  -5.442344  3.220741  -0.1978
H  -3.024380  -3.745575  -4.629768  0.0692
H  5.333613  2.287285  -0.511645  0.0713
C  5.611050  1.358516  -0.013123  -0.1422
C  -2.156384  -3.492277  -5.238477  -0.1655
H  -2.219566  -3.849119  -6.266469  0.0801
H  6.646543  1.182101  -0.304222  0.0680
H  -0.266653  3.643641  3.822872  0.0763
Rodriguez had pulled his patrol car along the center divider of the eastbound lanes of Highway 50 before the Zinfandel Drive overpass, according to the report. Spotting McIntyre under the cement structure, Rodriguez “climbed over the center concrete barrier onto Westbound Highway 50,” the report said. Rodriguez then began crossing the six lanes of traffic, “and while continuing to cross the lanes of traffic fired 19 rounds from his handgun as McIntyre fled away from deputies,” the report said. Hampton, the department spokesman, said that even though the incident took place at the end of the rush-hour commute, “there was no traffic” at the time Rodriguez fired. Hampton said he was one of the deputies who responded to the incident and “traffic had slowed down at that point.” One driver on a nearby on-ramp filmed a brief video of the incident showing some of the shots fired and gave it to a local news station. John Burris, the lawyer for Brigett McIntyre and Mikel McIntyre’s infant son, questioned if so many shots — 27 in less than a minute — were necessary. “Even if (deputies) had seen rocks thrown at another person, is that the basis to use deadly force? I don’t think so,” Burris said. Burris also said that McIntyre was running away from deputies when they fired, and questioned if he posed an immediate threat to officers or others — one part of the legal standard for using deadly force. He called firing across the freeway “reckless.” “The officer who fired 19 shots, his life was not in immediate danger nor was the life of anyone else,” Burris said. All three officers involved in the shooting are back on active duty, Hampton said.